• Data:
(1)
Here is crystalline Ca3Mg2Ni13 at its relaxed geometry from the Materials Project database. Energies are from GGA-PBE.

a b c (Å): 12.307 12.307 12.307
angles (deg): 23.08 23.08 23.08
Fractional coordinates of all 18 atoms:
Ca 0.000 0.000 0.000
Ca 0.457 0.457 0.457
Ca 0.543 0.543 0.543
Mg 0.093 0.093 0.093
Mg 0.907 0.907 0.907
Ni 0.000 0.000 0.500
Ni 0.000 0.500 0.000
Ni 0.053 0.556 0.556
Ni 0.223 0.223 0.223
Ni 0.334 0.334 0.334
Ni 0.444 0.444 0.947
Ni 0.444 0.947 0.444
Ni 0.500 0.000 0.000
Ni 0.556 0.053 0.556
Ni 0.556 0.556 0.053
Ni 0.666 0.666 0.666
Ni 0.777 0.777 0.777
Ni 0.947 0.444 0.444

Results
Formation energy = -171 meV/atom
Space-group type = R-3m (166)

***

(2)
Here is crystalline Ca3MgNi14 at its relaxed geometry from the Materials Project database. Energies are from GGA-PBE.

a b c (Å): 12.297 12.297 12.297
angles (deg): 23.40 23.40 23.40
Fractional coordinates of all 18 atoms:
Ca 0.000 0.000 0.000
Ca 0.098 0.098 0.098
Ca 0.202 0.202 0.202
Mg 0.298 0.298 0.298
Ni 0.041 0.539 0.539
Ni 0.149 0.650 0.650
Ni 0.259 0.761 0.761
Ni 0.428 0.428 0.428
Ni 0.538 0.538 0.538
Ni 0.539 0.041 0.539
Ni 0.539 0.539 0.041
Ni 0.649 0.649 0.649
Ni 0.650 0.149 0.650
Ni 0.650 0.650 0.149
Ni 0.761 0.259 0.761
Ni 0.761 0.761 0.259
Ni 0.761 0.761 0.761
Ni 0.872 0.872 0.872

Results
Formation energy = -143 meV/atom
Space-group type = R3m (160)

***

(3)
Here is crystalline CaMg3O4 at its relaxed geometry from the Materials Project database. Energies are from GGA-PBE.

a b c (Å): 4.446 4.446 4.446
angles (deg): 90.00 90.00 90.00
Fractional coordinates of all 8 atoms:
Ca 0.000 0.000 0.000
Mg 0.000 0.500 0.500
Mg 0.500 0.000 0.500
Mg 0.500 0.500 0.000
O 0.000 0.000 0.500
O 0.000 0.500 0.000
O 0.500 0.000 0.000
O 0.500 0.500 0.500

Results
Formation energy = -2980 meV/atom
Space-group type = Pm-3m (221)

***

(4)
Here is crystalline CaMgO3 at its relaxed geometry from the Materials Project database. Energies are from GGA-PBE.

a b c (Å): 3.945 3.945 3.945
angles (deg): 90.00 90.00 90.00
Fractional coordinates of all 5 atoms:
Ca 0.000 0.000 0.000
Mg 0.500 0.500 0.500
O 0.000 0.500 0.500
O 0.500 0.000 0.500
O 0.500 0.500 0.000

Results
Formation energy = -2235 meV/atom
Space-group type = Pm-3m (221)

***

(5)
Here is crystalline Ca9MgP7O28 at its relaxed geometry from the Materials Project database. Energies are from GGA-PBE.

a b c (Å): 13.858 13.858 13.858
angles (deg): 44.28 44.28 44.28
Fractional coordinates of all 90 atoms:
Ca 0.024 0.995 0.590
Ca 0.090 0.495 0.524
Ca 0.281 0.853 0.866
Ca 0.353 0.781 0.366
Ca 0.366 0.353 0.781
Ca 0.404 0.947 0.969
Ca 0.447 0.904 0.469
Ca 0.469 0.447 0.904
Ca 0.495 0.524 0.090
Ca 0.524 0.090 0.495
Ca 0.590 0.024 0.995
Ca 0.781 0.366 0.353
Ca 0.853 0.866 0.281
Ca 0.866 0.281 0.853
Ca 0.904 0.469 0.447
Ca 0.947 0.969 0.404
Ca 0.969 0.404 0.947
Ca 0.995 0.590 0.024
Mg 0.435 0.435 0.435
Mg 0.935 0.935 0.935
P 0.117 0.625 0.656
P 0.125 0.617 0.156
P 0.156 0.125 0.617
P 0.189 0.189 0.189
P 0.209 0.754 0.244
P 0.244 0.209 0.754
P 0.254 0.709 0.744
P 0.617 0.156 0.125
P 0.625 0.656 0.117
P 0.656 0.117 0.625
P 0.689 0.689 0.689
P 0.709 0.744 0.254
P 0.744 0.254 0.709
P 0.754 0.244 0.209
O 0.037 0.574 0.669
O 0.037 0.789 0.341
O 0.046 0.326 0.154
O 0.050 0.595 0.320
O 0.056 0.793 0.061
O 0.060 0.799 0.579
O 0.061 0.056 0.793
O 0.074 0.537 0.169
O 0.077 0.270 0.796
O 0.078 0.799 0.821
O 0.079 0.299 0.560
O 0.095 0.550 0.820
O 0.154 0.046 0.326
O 0.169 0.074 0.537
O 0.231 0.231 0.231
O 0.233 0.849 0.243
O 0.243 0.233 0.849
O 0.270 0.796 0.077
O 0.289 0.537 0.841
O 0.293 0.556 0.561
O 0.296 0.770 0.577
O 0.299 0.560 0.079
O 0.299 0.578 0.321
O 0.320 0.050 0.595
O 0.321 0.299 0.578
O 0.326 0.154 0.046
O 0.341 0.037 0.789
O 0.349 0.733 0.743
O 0.537 0.169 0.074
O 0.537 0.841 0.289
O 0.546 0.654 0.826
O 0.550 0.820 0.095
O 0.556 0.561 0.293
O 0.560 0.079 0.299
O 0.561 0.293 0.556
O 0.574 0.669 0.037
O 0.577 0.296 0.770
O 0.578 0.321 0.299
O 0.579 0.060 0.799
O 0.595 0.320 0.050
O 0.654 0.826 0.546

• Assignment:
Write out everything further above with every line break kept.

• Done:
(1)
Here is crystalline Ca3Mg2Ni13 at its relaxed geometry from the Materials Project database. Energies are from GGA-PBE.

a b c (Å): 12.307 12.307 12.307
angles (deg): 23.08 23.08 23.08
Fractional coordinates of all 18 atoms:
Ca 0.000 0.000 0.000
Ca 0.457 0.457 0.457
Ca 0.543 0.543 0.543
Mg 0.093 0.093 0.093
Mg 0.907 0.907 0.907
Ni 0.000 0.000 0.500
Ni 0.000 0.500 0.000
Ni 0.053 0.556 0.556
Ni 0.223 0.223 0.223
Ni 0.334 0.334 0.334
Ni 0.444 0.444 0.947
Ni 0.444 0.947 0.444
Ni 0.500 0.000 0.000
Ni 0.556 0.053 0.556
Ni 0.556 0.556 0.053
Ni 0.666 0.666 0.666
Ni 0.777 0.777 0.777
Ni 0.947 0.444 0.444

Results
Formation energy = -171 meV/atom
Space-group type = R-3m (166)

***

(2)
Here is crystalline Ca3MgNi14 at its relaxed geometry from the Materials Project database. Energies are from GGA-PBE.

a b c (Å): 12.297 12.297 12.297
angles (deg): 23.40 23.40 23.40
Fractional coordinates of all 18 atoms:
Ca 0.000 0.000 0.000
Ca 0.098 0.098 0.098
Ca 0.202 0.202 0.202
Mg 0.298 0.298 0.298
Ni 0.041 0.539 0.539
Ni 0.149 0.650 0.650
Ni 0.259 0.761 0.761
Ni 0.428 0.428 0.428
Ni 0.538 0.538 0.538
Ni 0.539 0.041 0.539
Ni 0.539 0.539 0.041
Ni 0.649 0.649 0.649
Ni 0.650 0.149 0.650
Ni 0.650 0.650 0.149
Ni 0.761 0.259 0.761
Ni 0.761 0.761 0.259
Ni 0.761 0.761 0.761
Ni 0.872 0.872 0.872

Results
Formation energy = -143 meV/atom
Space-group type = R3m (160)

***

(3)
Here is crystalline CaMg3O4 at its relaxed geometry from the Materials Project database. Energies are from GGA-PBE.

a b c (Å): 4.446 4.446 4.446
angles (deg): 90.00 90.00 90.00
Fractional coordinates of all 8 atoms:
Ca 0.000 0.000 0.000
Mg 0.000 0.500 0.500
Mg 0.500 0.000 0.500
Mg 0.500 0.500 0.000
O 0.000 0.000 0.500
O 0.000 0.500 0.000
O 0.500 0.000 0.000
O 0.500 0.500 0.500

Results
Formation energy = -2980 meV/atom
Space-group type = Pm-3m (221)

***

(4)
Here is crystalline CaMgO3 at its relaxed geometry from the Materials Project database. Energies are from GGA-PBE.

a b c (Å): 3.945 3.945 3.945
angles (deg): 90.00 90.00 90.00
Fractional coordinates of all 5 atoms:
Ca 0.000 0.000 0.000
Mg 0.500 0.500 0.500
O 0.000 0.500 0.500
O 0.500 0.000 0.500
O 0.500 0.500 0.000

Results
Formation energy = -2235 meV/atom
Space-group type = Pm-3m (221)

***

(5)
Here is crystalline Ca9MgP7O28 at its relaxed geometry from the Materials Project database. Energies are from GGA-PBE.

a b c (Å): 13.858 13.858 13.858
angles (deg): 44.28 44.28 44.28
Fractional coordinates of all 90 atoms:
Ca 0.024 0.995 0.590
Ca 0.090 0.495 0.524
Ca 0.281 0.853 0.866
Ca 0.353 0.781 0.366
Ca 0.366 0.353 0.781
Ca 0.404 0.947 0.969
Ca 0.447 0.904 0.469
Ca 0.469 0.447 0.904
Ca 0.495 0.524 0.090
Ca 0.524 0.090 0.495
Ca 0.590 0.024 0.995
Ca 0.781 0.366 0.353
Ca 0.853 0.866 0.281
Ca 0.866 0.281 0.853
Ca 0.904 0.469 0.447
Ca 0.947 0.969 0.404
Ca 0.969 0.404 0.947
Ca 0.995 0.590 0.024
Mg 0.435 0.435 0.435
Mg 0.935 0.935 0.935
P 0.117 0.625 0.656
P 0.125 0.617 0.156
P 0.156 0.125 0.617
P 0.189 0.189 0.189
P 0.209 0.754 0.244
P 0.244 0.209 0.754
P 0.254 0.709 0.744
P 0.617 0.156 0.125
P 0.625 0.656 0.117
P 0.656 0.117 0.625
P 0.689 0.689 0.689
P 0.709 0.744 0.254
P 0.744 0.254 0.709
P 0.754 0.244 0.209
O 0.037 0.574 0.669
O 0.037 0.789 0.341
O 0.046 0.326 0.154
O 0.050 0.595 0.320
O 0.056 0.793 0.061
O 0.060 0.799 0.579
O 0.061 0.056 0.793
O 0.074 0.537 0.169
O 0.077 0.270 0.796
O 0.078 0.799 0.821
O 0.079 0.299 0.560
O 0.095 0.550 0.820
O 0.154 0.046 0.326
O 0.169 0.074 0.537
O 0.231 0.231 0.231
O 0.233 0.849 0.243
O 0.243 0.233 0.849
O 0.270 0.796 0.077
O 0.289 0.537 0.841
O 0.293 0.556 0.561
O 0.296 0.770 0.577
O 0.299 0.560 0.079
O 0.299 0.578 0.321
O 0.320 0.050 0.595
O 0.321 0.299 0.578
O 0.326 0.154 0.046
O 0.341 0.037 0.789
O 0.349 0.733 0.743
O 0.537 0.169 0.074
O 0.537 0.841 0.289
O 0.546 0.654 0.826
O 0.550 0.820 0.095
O 0.556 0.561 0.293
O 0.560 0.079 0.299
O 0.561 0.293 0.556
O 0.574 0.669 0.037
O 0.577 0.296 0.770
O 0.578 0.321 0.299
O 0.579 0.060 0.799
O 0.595 0.320 0.050
O 0.654 0.826 0.546